Smart Mobs Versus Smart Globalization
How do we account for the rapid riseand even more precipitous fallof a major corporation such as Monsanto, which had done nothing wrong according to society's legal and regulatory institutions and had, in fact, transformed its business model to add value to its customers while reducing environmental impact?25 Certainly, the emergent nature of biotechnology had something to do with the problems that Monsanto experienced. Indeed, an accelerating pace of technological change appears to be generating ever-faster cycles of creative destruction.26
Materials data from another source follow =
- - -
Record 1
Theoretical PXRD pattern
Compound: SmGdAs2Pt2
Radiation: a wavelength of 1.5418 Å
Structure: a DFT-relaxed cell (PBE, OQMD)
No peak broadening, texture or thermal motion is included.

Principal peaks in the range 2θ from 15° to 90°, by intensity:
| d (Å) | 2theta | I/Imax | hkl |
| --- | --- | --- | --- |
| 2.692 | 33.28 | 100 | 1 0 4 |
| 2.161 | 41.80 | 59 | 1 1 0 |
| 1.443 | 64.60 | 30 | 1 1 8 |
| 1.685 | 54.44 | 25 | 2 0 4 |
| 1.329 | 70.91 | 23 | 2 1 4 |
| 3.639 | 24.46 | 16 | 1 0 1 |

Atomic structure:
```
data_SmGdAs2Pt2
_chemical_formula_sum 'Sm2 Gd2 As4 Pt4'
_space_group_name_H-M_alt 'P 63/m m c'
_space_group_IT_number 194
_space_group_name_Hall '-P 6c 2c'
_cell_length_a 4.3225
_cell_length_b 4.3225
_cell_length_c 15.5008
_cell_angle_alpha 90.00
_cell_angle_beta 90.00
_cell_angle_gamma 120.00
loop_
_atom_site_label
_atom_site_type_symbol
_atom_site_fract_x
_atom_site_fract_y
_atom_site_fract_z
Sm1 Sm 0.0000 0.0000 0.2500
Gd1 Gd 0.0000 0.0000 0.0000
As1 As 0.3333 0.6667 0.1163
Pt1 Pt 0.3333 0.6667 0.6311
```

=====

Record 2
Theoretical PXRD pattern
Compound: GdTmAs2Pt2
Radiation: a wavelength of 1.5418 Å
Structure: a DFT-relaxed cell (PBE, OQMD)
No peak broadening, texture or thermal motion is included.

Principal peaks in the range 2θ from 15° to 90°, by intensity:
| d (Å) | 2theta | I/Imax | hkl |
| --- | --- | --- | --- |
| 2.649 | 33.83 | 100 | 1 0 4 |
| 2.144 | 42.14 | 62 | 1 1 0 |
| 1.667 | 55.10 | 25 | 2 0 4 |
| 1.418 | 65.87 | 23 | 1 1 8 |
| 1.316 | 71.72 | 23 | 2 1 4 |
| 3.607 | 24.68 | 19 | 1 0 1 |

Atomic structure:
```
data_GdTmAs2Pt2
_chemical_formula_sum 'Gd2 Tm2 As4 Pt4'
_space_group_name_H-M_alt 'P 63/m m c'
_space_group_IT_number 194
_space_group_name_Hall '-P 6c 2c'
_cell_length_a 4.2887
_cell_length_b 4.2887
_cell_length_c 15.1215
_cell_angle_alpha 90.00
_cell_angle_beta 90.00
_cell_angle_gamma 120.00
loop_
_atom_site_label
_atom_site_type_symbol
_atom_site_fract_x
_atom_site_fract_y
_atom_site_fract_z
Gd1 Gd 0.0000 0.0000 0.0000
Tm1 Tm 0.0000 0.0000 0.2500
As1 As 0.3333 0.6667 0.1167
Pt1 Pt 0.3333 0.6667 0.6418
```

=====

Record 3
Theoretical PXRD pattern
Compound: Gd3AsSe2
Radiation: a wavelength of 1.5418 Å
Structure: a DFT-relaxed cell (PBE, OQMD)
No peak broadening, texture or thermal motion is included.

Principal peaks in the range 2θ from 15° to 90°, by intensity:
| d (Å) | 2theta | I/Imax | hkl |
| --- | --- | --- | --- |
| 2.919 | 30.63 | 100 | 1 0 2 |
| 2.064 | 43.87 | 74 | 1 1 0 |
| 1.305 | 72.40 | 33 | 2 1 2 |
| 1.685 | 54.45 | 26 | 0 2 2 |
| 3.370 | 26.45 | 20 | 0 1 1 |
| 1.192 | 80.60 | 19 | 3 0 0 |

Atomic structure:
```
data_Gd3AsSe2
_chemical_formula_sum 'Gd3 As1 Se2'
_space_group_name_H-M_alt 'P -3 m 1'
_space_group_IT_number 164
_space_group_name_Hall '-P 3 2"'
_cell_length_a 4.1299
_cell_length_b 4.1299
_cell_length_c 10.1004
_cell_angle_alpha 90.00
_cell_angle_beta 90.00
_cell_angle_gamma 120.00
loop_
_atom_site_label
_atom_site_type_symbol
_atom_site_fract_x
_atom_site_fract_y
- - -
Back to the entry =
Yet there is even something more fundamental at work here. The power of governments has eroded in the wake of globalization and the growth of transnational corporations with global supply chains that span several continents. NGOs and civil society groups have stepped into the breach, assuming the role of monitor and, in some cases, enforcer of social and environmental standards.27 Today, for example, there are more than 50,000 international NGOs, compared to fewer than 20,000 only a decade ago.28
(Someone pasted records of crystals at this point)
-- begin --
Entry 1:
# Cd8Cu7P30
Theoretical powder XRD pattern, copper Kα. Input: a GGA-PBE-relaxed structure.
Lines closer than 0.1° are merged.

Atomic structure:
a b c (Å): 7.425 7.438 18.233
angles (deg): 89.66 89.68 60.06
Space group P1 (No. 1)
Asymmetric unit:
Cd (0.000, 0.000, 0.000) [1 per cell]
Cd (0.000, 0.384, 0.996) [1 per cell]
Cd (0.127, 0.128, 0.127) [1 per cell]
Cd (0.333, 0.716, 0.336) [1 per cell]
Cd (0.334, 0.333, 0.335) [1 per cell]
Cd (0.467, 0.447, 0.464) [1 per cell]
Cd (0.668, 0.669, 0.666) [1 per cell]
Cd (0.788, 0.813, 0.788) [1 per cell]
Cu (0.107, 0.631, 0.661) [1 per cell]
Cu (0.124, 0.127, 0.533) [1 per cell]
Cu (0.423, 0.980, 0.995) [1 per cell]
Cu (0.458, 0.461, 0.866) [1 per cell]
Cu (0.633, 0.101, 0.663) [1 per cell]
Cu (0.755, 0.313, 0.329) [1 per cell]
Cu (0.791, 0.795, 0.200) [1 per cell]
P (0.107, 0.635, 0.535) [1 per cell]
P (0.124, 0.124, 0.660) [1 per cell]
P (0.133, 0.624, 0.157) [1 per cell]
P (0.141, 0.620, 0.036) [1 per cell]
P (0.274, 0.802, 0.702) [1 per cell]
P (0.289, 0.803, 0.823) [1 per cell]
P (0.290, 0.286, 0.700) [1 per cell]
P (0.290, 0.289, 0.821) [1 per cell]
P (0.300, 0.302, 0.196) [1 per cell]
P (0.300, 0.779, 0.196) [1 per cell]
P (0.440, 0.971, 0.868) [1 per cell]
P (0.460, 0.461, 0.994) [1 per cell]
P (0.468, 0.957, 0.493) [1 per cell]
P (0.475, 0.955, 0.372) [1 per cell]
P (0.606, 0.138, 0.035) [1 per cell]
P (0.607, 0.638, 0.035) [1 per cell]
P (0.622, 0.136, 0.157) [1 per cell]
P (0.622, 0.623, 0.157) [1 per cell]
P (0.633, 0.633, 0.529) [1 per cell]
P (0.636, 0.105, 0.538) [1 per cell]
P (0.773, 0.304, 0.202) [1 per cell]
P (0.792, 0.796, 0.328) [1 per cell]
P (0.798, 0.291, 0.821) [1 per cell]
P (0.800, 0.274, 0.700) [1 per cell]
P (0.937, 0.972, 0.371) [1 per cell]
P (0.939, 0.471, 0.369) [1 per cell]
P (0.953, 0.957, 0.493) [1 per cell]
P (0.955, 0.468, 0.490) [1 per cell]
P (0.964, 0.451, 0.857) [1 per cell]
P (0.967, 0.971, 0.862) [1 per cell]

Largest 8 diffraction maxima, in order of falling intensity, 2θ from 10° to 90°:
d 3.038, intensity 100.0; d 1.858, intensity 57.3; d 3.031, intensity 48.2; d 6.070, intensity 29.8; d 2.411, intensity 24.2; d 2.028, intensity 22.3; d 3.177, intensity 19.1; d 2.025, intensity 15.3

***

Entry 2:
# CeCd2Cu
Theoretical powder XRD pattern, copper Kα. Input: a GGA-PBE-relaxed structure.
Lines closer than 0.1° are merged.

Atomic structure:
a b c (Å): 7.040 7.040 7.040
angles (deg): 90.00 90.00 90.00
Space group F-43m (No. 216)
Asymmetric unit:
Ce (0.000, 0.000, 0.000) [4 per cell]
Cd (0.000, 0.000, 0.500) [4 per cell]
Cd (0.250, 0.250, 0.750) [4 per cell]
Cu (0.250, 0.250, 0.250) [4 per cell]

Largest 8 diffraction maxima, in order of falling intensity, 2θ from 10° to 90°:
d 2.489, intensity 100.0; d 1.437, intensity 34.0; d 1.760, intensity 17.1; d 1.113, intensity 15.0; d 1.244, intensity 10.4; d 4.064, intensity 3.3; d 3.520, intensity 3.2; d 2.123, intensity 1.8

***

Entry 3:
# HfUN2
-- stop --
At the same time, the spread of the Internet and other information technologies has enabled not only these groups, but also millions of individuals, to communicate with each other in ways that were unimaginable even a decade ago.29 Indeed, Internet-connected coalitions of NGOs and individualssmart mobsare now making it impossible for governments, corporations, or any large institution to operate in secrecy.30 The varied claims of these smart mobs have created a dynamically complex business environment in which organizations find it difficult to determine what knowledge is relevant for managing strategic change; just ask senior managers at Shell, Nike, the World Trade Organization, or the World Economic Forum.
Unfortunately, as the Monsanto case illustrates, most companies still tend to focus management attention only on known, powerful, or "salient" stakeholdersthose who can directly impact the firm.31 Even recent efforts at "radical transparency," the complete and truthful disclosure of an organization's plans and activities, appear inadequate because they entail reporting only what has already been decided or, in fact, accomplished. Yet in a world of smart mobs, firms cannot manage stakeholders. Instead, swarms of stakeholders self-organize on the Net in chaotic and unpredictable ways.
• Inserted here: records of crystals:
~~~
Starting from DFT lattice parameters and positions (GGA-PBE), the XRD peak list of Si5Ir4 was computed for copper Kα.
No peak broadening, texture or thermal motion is included.

Largest 10 diffraction maxima, most intense first, 2θ = 15–90°:
| hkl | 2theta | I_rel |
| --- | --- | --- |
| 1 1 0 | 28.8 | 100 |
| 0 0 4 | 29.1 | 42 |
| 1 1 4 | 43.4 | 40 |
| 2 1 -3 | 42.6 | 32 |
| 1 1 -5 | 45.0 | 26 |
| 0 2 0 | 49.9 | 22 |
| 1 0 -3 | 24.3 | 15 |
| 2 0 0 | 30.6 | 14 |
| 1 1 -4 | 39.4 | 14 |
| 3 0 -3 | 48.1 | 13 |

Cell: 5.9434 3.6528 12.4514 Å, 90.00 100.03 90.00°
Space group P2_1/m (No. 11)
Asymmetric unit:
1 Si 0.0087 0.2500 0.0784
2 Si 0.0278 0.2500 0.7754
3 Si 0.1428 0.7500 0.6371
4 Si 0.3905 0.7500 0.4242
5 Si 0.4783 0.2500 0.1410
6 Ir 0.1998 0.2500 0.4985
7 Ir 0.2102 0.2500 0.2688
8 Ir 0.2812 0.2500 0.9507
9 Ir 0.3925 0.2500 0.7263
~~~
Groups at the "fringe" of a firm's stakeholder network can acquire an important voice in such swarms. To avoid the wrath of the smart mob, it has now become essential to proactively seek out the voices from the fringe that had previously been ignored. To survive and compete for the future, firms must harness these voices to identify creative new business models and opportunities. The tyranny of the smart mob can yield to a new form of what might be called "smart globalization:" growth via disruptive business models that address the social and environmental concerns of fringe stakeholders.32